Your job: start at the top of the data further below and quote each line, ending with the one that has "0.0000 0.7500".

+++
Entry 1:
Material: GdS2
Method: DFT, PBE
State: optimized geometry

Cell lengths 3.8944, 3.8944, 8.0368 Å; angles 90.00, 90.00, 90.00 degrees
With the nearest neighbours (Å) after each atom.
Element x y z (fractional)
Gd: 0.2500 0.2500 0.2260  9 S 2.85-2.94
Gd: 0.7500 0.7500 0.7740  9 S 2.85-2.94
S: 0.2500 0.2500 0.8667  5 Gd 2.85-2.89
S: 0.2500 0.7500 0.5000  4 S 2.75, 4 Gd 2.94
S: 0.7500 0.2500 0.5000  4 S 2.75, 4 Gd 2.94
S: 0.7500 0.7500 0.1333  5 Gd 2.85-2.89

* energy of formation: -2.01 eV per atom
* total energy after the MP2020 corrections: -9.4601 eV/atom



Entry 2:
Material: ScAl3
Method: DFT, PBE
State: optimized geometry

Cell lengths 4.0256, 4.0256, 8.8464 Å; angles 90.00, 90.00, 90.00 degrees
With the nearest neighbours (Å) after each atom.
Element x y z (fractional)
Sc: 0.0000 0.0000 0.0000  12 Al 2.85-2.99
Sc: 0.5000 0.5000 0.5000  12 Al 2.85-2.99
Al: 0.0000 0.0000 0.5000  4 Sc 2.85, 8 Al 2.99
Al: 0.0000 0.5000 0.2500  8 Al 2.85-2.99, 4 Sc 2.99
Al: 0.0000 0.5000 0.7500  8 Al 2.85-2.99, 4 Sc 2.99
Al: 0.5000 0.0000 0.2500  8 Al 2.85-2.99, 4 Sc 2.99
Al: 0.5000 0.0000 0.7500  8 Al 2.85-2.99, 4 Sc 2.99
Al: 0.5000 0.5000 0.0000  4 Sc 2.85, 8 Al 2.99

* energy of formation: -0.36 eV per atom



Entry 3:
Material: Al4C3
Method: DFT, PBE
State: optimized geometry

Cell lengths 4.4895, 4.5308, 5.0294 Å; angles 90.76, 111.75, 119.17 degrees
With the nearest neighbours (Å) after each atom.
Element x y z (fractional)
Al: 0.0000 0.0000 0.0000  2 C 2.03-2.08
Al: 0.1045 0.5382 0.6530  3 C 2.10-2.19
Al: 0.5482 0.7616 0.3316  3 C 2.11-2.33
Al: 0.6848 0.3397 0.0204  3 C 2.04-2.21
C: 0.1184 0.0134 0.6472  1 C 1.51
C: 0.4003 0.3075 0.5692  2 C 1.51
C: 0.5295 0.2223 0.3572  1 C 1.51

* energy of formation: 0.49 eV per atom



Entry 4:
Material: LaH4S2NO8
Method: DFT, PBE
State: optimized geometry

Cell lengths 7.1701, 5.5497, 9.3553 Å; angles 90.00, 98.55, 90.00 degrees
With the nearest neighbours (Å) after each atom.
Element x y z (fractional)
La: 0.1978 0.2500 0.2761  7 O 2.42-2.57
La: 0.8022 0.7500 0.7239  7 O 2.42-2.57
H: 0.1700 0.2500 0.8026  1 N 1.05
H: 0.3427 0.2500 0.6958  1 N 1.03
H: 0.3762 0.1004 0.8535  1 N 1.03
H: 0.3762 0.3996 0.8535  1 N 1.03
H: 0.6238 0.6004 0.1465  1 N 1.03
H: 0.6238 0.8996 0.1465  1 N 1.03
H: 0.6573 0.7500 0.3042  1 N 1.03
H: 0.8300 0.7500 0.1974  1 N 1.05
S: 0.1887 0.7500 0.0732  4 O 1.47-1.51
S: 0.2761 0.7500 0.5659  4 O 1.49
S: 0.7239 0.2500 0.4341  4 O 1.49
S: 0.8113 0.2500 0.9268  4 O 1.47-1.51
N: 0.3154 0.2500 0.8006  4 H 1.03-1.05
N: 0.6846 0.7500 0.1994  4 H 1.03-1.05
O: 0.0656 0.7500 0.9325  1 S 1.47
O: 0.0775 0.7500 0.1975  1 S 1.51
+++

Entry 1:
Material: GdS2
Method: DFT, PBE
State: optimized geometry

Cell lengths 3.8944, 3.8944, 8.0368 Å; angles 90.00, 90.00, 90.00 degrees
With the nearest neighbours (Å) after each atom.
Element x y z (fractional)
Gd: 0.2500 0.2500 0.2260  9 S 2.85-2.94
Gd: 0.7500 0.7500 0.7740  9 S 2.85-2.94
S: 0.2500 0.2500 0.8667  5 Gd 2.85-2.89
S: 0.2500 0.7500 0.5000  4 S 2.75, 4 Gd 2.94
S: 0.7500 0.2500 0.5000  4 S 2.75, 4 Gd 2.94
S: 0.7500 0.7500 0.1333  5 Gd 2.85-2.89

* energy of formation: -2.01 eV per atom
* total energy after the MP2020 corrections: -9.4601 eV/atom



Entry 2:
Material: ScAl3
Method: DFT, PBE
State: optimized geometry

Cell lengths 4.0256, 4.0256, 8.8464 Å; angles 90.00, 90.00, 90.00 degrees
With the nearest neighbours (Å) after each atom.
Element x y z (fractional)
Sc: 0.0000 0.0000 0.0000  12 Al 2.85-2.99
Sc: 0.5000 0.5000 0.5000  12 Al 2.85-2.99
Al: 0.0000 0.0000 0.5000  4 Sc 2.85, 8 Al 2.99
Al: 0.0000 0.5000 0.2500  8 Al 2.85-2.99, 4 Sc 2.99
Al: 0.0000 0.5000 0.7500  8 Al 2.85-2.99, 4 Sc 2.99
Al: 0.5000 0.0000 0.2500  8 Al 2.85-2.99, 4 Sc 2.99
Al: 0.5000 0.0000 0.7500  8 Al 2.85-2.99, 4 Sc 2.99